Please echo everything below without additions.

=====
1.
! GGA-PBE NdEr2Zn2Ge2, optimized geometry; values from VASP
&SYSTEM
  ibrav = 0, nat = 7, ntyp = 4
/
ATOMIC_SPECIES
Ge 72.64 Ge.upf
Zn 65.41 Zn.upf
Nd 144.24 Nd.upf
Er 167.26 Er.upf
ATOMIC_POSITIONS crystal
Ge 0.7369 0.7369 0.7892
Ge 0.2631 0.2631 0.2108
Zn 0.6066 0.6066 0.1801
Nd 0.0000 0.0000 0.0000
Er 0.1246 0.1246 0.6261
Zn 0.3934 0.3934 0.8199
Er 0.8754 0.8754 0.3739
CELL_PARAMETERS angstrom
4.1469 0.0000 0.0000
2.0734 3.5913 0.0000
2.0734 1.1971 11.1468
! * formation energy: -444 meV/atom
! * SG: No. 166
! * crystal system: trigonal
! * total moment: 0.000 Bohr magnetons per cell
! * electronic total energy: -4.112 eV per atom


2.
! GGA-PBE TmBe2Fe2C, optimized geometry; values from VASP
&SYSTEM
  ibrav = 0, nat = 6, ntyp = 4
/
ATOMIC_SPECIES
Fe 55.84 Fe.upf
C 12.01 C.upf
Be 9.01 Be.upf
Tm 168.93 Tm.upf
ATOMIC_POSITIONS crystal
Fe 0.5000 0.0000 0.0000
C 0.0000 0.0000 0.0000
Be 0.5000 0.5000 0.7383
Fe 0.0000 0.5000 0.0000
Be 0.5000 0.5000 0.2617
Tm 0.0000 0.0000 0.5000
CELL_PARAMETERS angstrom
3.7300 0.0000 0.0000
0.0000 3.7300 0.0000
0.0000 0.0000 4.9541
! * formation energy: -264 meV/atom
! * SG: No. 123
! * crystal system: tetragonal
! * total moment: 0.000 Bohr magnetons per cell
! * electronic total energy: -6.609 eV per atom


3.
! GGA-PBE NaLi2ICl8, optimized geometry; values from VASP
&SYSTEM
  ibrav = 0, nat = 12, ntyp = 4
/
ATOMIC_SPECIES
Cl 35.45 Cl.upf
Li 6.94 Li.upf
Na 22.99 Na.upf
I 126.90 I.upf
ATOMIC_POSITIONS crystal
Cl 0.6556 0.6954 0.5631
Cl 0.1879 0.8465 0.8678
Li 0.4906 0.6499 0.3237
Na 0.0000 0.0000 0.5000
Li 0.5094 0.3501 0.6763
Cl 0.3444 0.3046 0.4369
Cl 0.2860 0.3223 0.9005
Cl 0.7140 0.6777 0.0995
Cl 0.7858 0.1375 0.7216
Cl 0.8121 0.1535 0.1322
Cl 0.2142 0.8625 0.2784
I 0.0000 0.0000 0.0000
CELL_PARAMETERS angstrom
6.3354 -0.8250 -0.3451
-0.8260 7.2490 1.4551
-0.4443 2.0025 8.4060
! * SG: No. 2
! * crystal system: triclinic
! * total moment: 0.129 Bohr magnetons per cell
! * electronic total energy: -2.707 eV per atom
! * uncorrected formation energy: -0.918 eV/atom


4.
! GGA-PBE BaCuRe4, optimized geometry; values from VASP
&SYSTEM
  ibrav = 0, nat = 6, ntyp = 3
/
ATOMIC_SPECIES
Cu 63.55 Cu.upf
Re 186.21 Re.upf
Ba 137.33 Ba.upf
ATOMIC_POSITIONS crystal
Cu 0.0000 0.0000 0.0000
Re 0.3741 0.3741 0.3741
Ba 0.7500 0.7500 0.7500
Re 0.8777 0.3741 0.3741
Re 0.3741 0.3741 0.8777
Re 0.3741 0.8777 0.3741
CELL_PARAMETERS angstrom
0.0000 3.8401 3.8401
3.8401 0.0000 3.8401
3.8401 3.8401 0.0000
! * formation energy: 1013 meV/atom
! * SG: No. 216
! * crystal system: cubic
! * total moment: 0.000 Bohr magnetons per cell
! * electronic total energy: -8.289 eV per atom


5.
! GGA-PBE LuThRu2, optimized geometry; values from VASP
&SYSTEM
  ibrav = 0, nat = 4, ntyp = 3
/
ATOMIC_SPECIES
Th 232.04 Th.upf
Lu 174.97 Lu.upf
Ru 101.07 Ru.upf
ATOMIC_POSITIONS crystal
Th 0.5000 0.5000 0.5000
Lu 0.5000 0.0000 0.0000
Ru 0.0000 0.5000 0.0000
Ru 0.0000 0.0000 0.5000
CELL_PARAMETERS angstrom
-2.7201 -1.8435 -1.0966
2.5962 -1.5680 -3.8039
1.5280 -3.8088 2.6128
! * formation energy: -493 meV/atom
! * SG: No. 123
! * crystal system: tetragonal
! * total moment: 0.000 Bohr magnetons per cell
! * electronic total energy: -8.116 eV per atom


6.
! GGA-PBE BaFe2Cl, optimized geometry; values from VASP
&SYSTEM
  ibrav = 0, nat = 4, ntyp = 3
/
ATOMIC_SPECIES
Cl 35.45 Cl.upf
Fe 55.84 Fe.upf
Ba 137.33 Ba.upf
ATOMIC_POSITIONS crystal
Cl 0.0000 0.0000 0.0000
Fe 0.7500 0.7500 0.7500
Ba 0.5000 0.5000 0.5000
Fe 0.2500 0.2500 0.2500
CELL_PARAMETERS angstrom
0.0000 3.6718 3.6718
3.6718 0.0000 3.6718
3.6718 3.6718 0.0000
! * SG: No. 225
! * crystal system: cubic
! * total moment: 6.841 Bohr magnetons per cell
! * electronic total energy: -4.233 eV per atom
! * uncorrected formation energy: 0.940 eV/atom


7.
! GGA-PBE SmMg2MoN4, optimized geometry; values from VASP
&SYSTEM
  ibrav = 0, nat = 16, ntyp = 4
/
ATOMIC_SPECIES
Mo 95.94 Mo.upf
Mg 24.30 Mg.upf
Sm 150.36 Sm.upf
N 14.01 N.upf
ATOMIC_POSITIONS crystal
Mo 0.8087 0.6175 0.7500
=====

1.
! GGA-PBE NdEr2Zn2Ge2, optimized geometry; values from VASP
&SYSTEM
  ibrav = 0, nat = 7, ntyp = 4
/
ATOMIC_SPECIES
Ge 72.64 Ge.upf
Zn 65.41 Zn.upf
Nd 144.24 Nd.upf
Er 167.26 Er.upf
ATOMIC_POSITIONS crystal
Ge 0.7369 0.7369 0.7892
Ge 0.2631 0.2631 0.2108
Zn 0.6066 0.6066 0.1801
Nd 0.0000 0.0000 0.0000
Er 0.1246 0.1246 0.6261
Zn 0.3934 0.3934 0.8199
Er 0.8754 0.8754 0.3739
CELL_PARAMETERS angstrom
4.1469 0.0000 0.0000
2.0734 3.5913 0.0000
2.0734 1.1971 11.1468
! * formation energy: -444 meV/atom
! * SG: No. 166
! * crystal system: trigonal
! * total moment: 0.000 Bohr magnetons per cell
! * electronic total energy: -4.112 eV per atom


2.
! GGA-PBE TmBe2Fe2C, optimized geometry; values from VASP
&SYSTEM
  ibrav = 0, nat = 6, ntyp = 4
/
ATOMIC_SPECIES
Fe 55.84 Fe.upf
C 12.01 C.upf
Be 9.01 Be.upf
Tm 168.93 Tm.upf
ATOMIC_POSITIONS crystal
Fe 0.5000 0.0000 0.0000
C 0.0000 0.0000 0.0000
Be 0.5000 0.5000 0.7383
Fe 0.0000 0.5000 0.0000
Be 0.5000 0.5000 0.2617
Tm 0.0000 0.0000 0.5000
CELL_PARAMETERS angstrom
3.7300 0.0000 0.0000
0.0000 3.7300 0.0000
0.0000 0.0000 4.9541
! * formation energy: -264 meV/atom
! * SG: No. 123
! * crystal system: tetragonal
! * total moment: 0.000 Bohr magnetons per cell
! * electronic total energy: -6.609 eV per atom


3.
! GGA-PBE NaLi2ICl8, optimized geometry; values from VASP
&SYSTEM
  ibrav = 0, nat = 12, ntyp = 4
/
ATOMIC_SPECIES
Cl 35.45 Cl.upf
Li 6.94 Li.upf
Na 22.99 Na.upf
I 126.90 I.upf
ATOMIC_POSITIONS crystal
Cl 0.6556 0.6954 0.5631
Cl 0.1879 0.8465 0.8678
Li 0.4906 0.6499 0.3237
Na 0.0000 0.0000 0.5000
Li 0.5094 0.3501 0.6763
Cl 0.3444 0.3046 0.4369
Cl 0.2860 0.3223 0.9005
Cl 0.7140 0.6777 0.0995
Cl 0.7858 0.1375 0.7216
Cl 0.8121 0.1535 0.1322
Cl 0.2142 0.8625 0.2784
I 0.0000 0.0000 0.0000
CELL_PARAMETERS angstrom
6.3354 -0.8250 -0.3451
-0.8260 7.2490 1.4551
-0.4443 2.0025 8.4060
! * SG: No. 2
! * crystal system: triclinic
! * total moment: 0.129 Bohr magnetons per cell
! * electronic total energy: -2.707 eV per atom
! * uncorrected formation energy: -0.918 eV/atom


4.
! GGA-PBE BaCuRe4, optimized geometry; values from VASP
&SYSTEM
  ibrav = 0, nat = 6, ntyp = 3
/
ATOMIC_SPECIES
Cu 63.55 Cu.upf
Re 186.21 Re.upf
Ba 137.33 Ba.upf
ATOMIC_POSITIONS crystal
Cu 0.0000 0.0000 0.0000
Re 0.3741 0.3741 0.3741
Ba 0.7500 0.7500 0.7500
Re 0.8777 0.3741 0.3741
Re 0.3741 0.3741 0.8777
Re 0.3741 0.8777 0.3741
CELL_PARAMETERS angstrom
0.0000 3.8401 3.8401
3.8401 0.0000 3.8401
3.8401 3.8401 0.0000
! * formation energy: 1013 meV/atom
! * SG: No. 216
! * crystal system: cubic
! * total moment: 0.000 Bohr magnetons per cell
! * electronic total energy: -8.289 eV per atom


5.
! GGA-PBE LuThRu2, optimized geometry; values from VASP
&SYSTEM
  ibrav = 0, nat = 4, ntyp = 3
/
ATOMIC_SPECIES
Th 232.04 Th.upf
Lu 174.97 Lu.upf
Ru 101.07 Ru.upf
ATOMIC_POSITIONS crystal
Th 0.5000 0.5000 0.5000
Lu 0.5000 0.0000 0.0000
Ru 0.0000 0.5000 0.0000
Ru 0.0000 0.0000 0.5000
CELL_PARAMETERS angstrom
-2.7201 -1.8435 -1.0966
2.5962 -1.5680 -3.8039
1.5280 -3.8088 2.6128
! * formation energy: -493 meV/atom
! * SG: No. 123
! * crystal system: tetragonal
! * total moment: 0.000 Bohr magnetons per cell
! * electronic total energy: -8.116 eV per atom


6.
! GGA-PBE BaFe2Cl, optimized geometry; values from VASP
&SYSTEM
  ibrav = 0, nat = 4, ntyp = 3
/
ATOMIC_SPECIES
Cl 35.45 Cl.upf
Fe 55.84 Fe.upf
Ba 137.33 Ba.upf
ATOMIC_POSITIONS crystal
Cl 0.0000 0.0000 0.0000
Fe 0.7500 0.7500 0.7500
Ba 0.5000 0.5000 0.5000
Fe 0.2500 0.2500 0.2500
CELL_PARAMETERS angstrom
0.0000 3.6718 3.6718
3.6718 0.0000 3.6718
3.6718 3.6718 0.0000
! * SG: No. 225
! * crystal system: cubic
! * total moment: 6.841 Bohr magnetons per cell
! * electronic total energy: -4.233 eV per atom
! * uncorrected formation energy: 0.940 eV/atom


7.
! GGA-PBE SmMg2MoN4, optimized geometry; values from VASP
&SYSTEM
  ibrav = 0, nat = 16, ntyp = 4
/
ATOMIC_SPECIES
Mo 95.94 Mo.upf
Mg 24.30 Mg.upf
Sm 150.36 Sm.upf
N 14.01 N.upf
ATOMIC_POSITIONS crystal
Mo 0.8087 0.6175 0.7500